Anthony Horowitz's Moriarty presents, to paraphrase Arthur Conan Doyle, something of a two-pipe problem. The story opens in 1891, in the wake of the events at the Reichenbach Falls, where Sherlock Holmes and his nemesis Professor Moriarty both perished. "Sherlock Holmes is dead" runs the cover's doom-laden strapline, "and darkness falls".
Yes and no. Even the most casual mystery aficionado will know that Holmes did not die in The Final Problem, despite the fervent wishes of his creator. Popular demand meant that Holmes turned up alive and well in London in 1894, after a three-year gap that Conan Doyle's fans describe as the great hiatus.
Horowitz, the only writer authorized to write Sherlock Holmes stories by Conan Doyle's estate, is alive to the humorous potential of the detective's death-defying feats. "Does anyone really believe what happened at the Reichenbach Falls?" asks our narrator, Pinkerton agent Frederick Chase, in the novel's opening line. Horowitz, responsible for his share of improbable murder mysteries on television – Midsomer Murders, Foyle's War, Poirot – then goes on to pick an Albert's Hall worth of holes out of Conan Doyle's plot in The Final Problem.
Moriarty offers a tangential, slyly knowing take on the fictional world created by Arthur Conan Doyle. In Switzerland in pursuit of Holmes, Chase encounters the Scotland Yard inspector Athelney Jones, a minor player in the Holmes canon. Moriarty might be dead, Chase tells Jones, but a more sinister game is afoot. For some time Moriarty has been in cahoots with Clarence Devereux, "the master of the American underworld".
With Moriarty dead, the way is clear for the utterly ruthless Devereux to expand his criminal empire into London and beyond. When the pair discover a coded message to Professor Moriarty on the drowned man’s body, sent by Devereux and arranging a meeting with Moriarty in London, they agree to pool their resources.
Their relationship, too, is quickly established. Jones, the Scotland Yard man with official authority, confesses to being a disciple of Holmes and employs his methods of detection. He will be the lead investigator. Chase, who has no official role in London, will observe events and, Watsonlike, play the part of his biographer.
Imitation as flattery
It’s an interesting gambit. Even if a contemporary writer re-creates Holmes to an uncanny degree, it can only ever be an ersatz version of Conan Doyle’s stories. But a range of possibilities opens up when Horowitz dips into the world Conan Doyle created and extracts similar characters with a similar way of investigating mysteries.
Given that this year has seen new novels featuring re-creations of Philip Marlowe (by Benjamin Black) and Hercule Poirot (by Sophie Hannah), the process of doing so raises interesting questions about why readers of crime fiction have gotten so nostalgic for the heroes of a bygone age.
That said, Horowitz takes the concept only so far. Despite the title, it’s the shadow of Sherlock Holmes that permeates virtually every page of the novel. Insp Jones isn’t so much a new take on the Holmes model of detection as a man engaged in a perverse kind of ventriloquism. He mutters “Elementary” on occasion, declares that a particular mystery is “a three-pipe problem” and modestly concedes that “Where Holmes has gone, I have merely followed”.
Jones suggests to Chase that they set up as a private-detective partnership – and that their offices should be situated around the corner from Baker Street. A bitter Mrs Jones says, “He has made Sherlock Holmes the very paradigm of his own life.”
Authentic writing
Horowitz writes beautifully about late-Victorian London, and some of the scenes verge on Dickensian in their evocation of its poverty and decay, the casual brutality of daily life and the riotous bustle of the docks.
Meanwhile, the story fairly gallops along, enlivened by shootings, explosions, kidnaps and murders. The twists and reversals of fortune are given an added frisson by the dramatic revelation at the denouement.
“It is like reading a book in which the chapters have been published in the wrong order,” Jones complains as he tries to piece together the jigsaw of his investigation of the elusive Devereux. “Or where the writer has deliberately set out to confuse.” Unwary readers would do well to take note of Jones’s words.
## Between two parts of the text: data records
********
Record 1
A geometry-optimized MnAl6Si4O19 structure. Source: the Materials Project, functional GGA+U. Values from VASP.

```
&SYSTEM
  ibrav = 0, nat = 60, ntyp = 4
/
ATOMIC_SPECIES
Mn 54.94 Mn.upf
Al 26.98 Al.upf
Si 28.09 Si.upf
O 16.00 O.upf
ATOMIC_POSITIONS angstrom
Mn 5.9482 -10.1459 -0.8783
Mn 3.4289 -5.6568 0.5520
Al 6.4371 -13.3665 0.4367
Al 2.9399 -2.4361 -0.7631
Al 8.1821 -5.4677 -3.0135
Al 1.1949 -10.3350 2.6871
Al 0.6068 -4.6679 -1.1579
Al 8.5750 -12.2077 -1.7235
Al 8.7703 -11.1348 0.8315
Al 0.8020 -3.5950 1.3971
Al 5.3869 -4.4517 -1.6732
Al 4.1909 -10.2474 3.9747
Al 3.9901 -11.3509 1.3469
Al 5.1861 -5.5552 -4.3011
Si 1.5182 -7.2974 -1.7359
Si 7.8588 -8.5052 1.4095
Si 4.4412 -7.4952 -1.8763
Si 4.9359 -8.3074 1.5499
Si 2.7466 -3.5261 -3.4134
Si 6.6304 -12.2765 3.0871
Si 1.0666 -11.3079 -0.0173
Si 8.3104 -4.4947 -0.3091
O 0.3163 -12.5990 0.5821
O 9.0607 -3.2037 -0.9085
O 5.0930 -12.2449 0.0684
O 4.2840 -3.5577 -0.3948
O 4.1159 -4.3929 -3.1541
O 5.2611 -11.4097 2.8277
O 2.6988 -11.5552 -0.0382
O 6.6782 -4.2475 -0.2882
O 5.7333 -8.4613 -1.5693
O 3.6437 -7.3413 1.2429
O 3.0006 -8.1235 -1.5023
O 6.3765 -7.6792 1.1759
O 6.4289 -5.2499 -2.9710
O 2.9482 -10.5527 2.6446
O 1.4099 -4.3206 -2.9777
O 7.9671 -11.4820 2.6513
O 0.4684 -8.4650 -1.1654
O 8.9086 -7.3376 0.8390
O 0.0731 -6.1434 -2.1101
O 9.3039 -9.6592 1.7837
O 7.8115 -12.4424 -0.0564
O 1.5655 -3.3602 -0.2700
O 1.9571 -5.9896 -0.6839
O 7.2276 -10.8702 -2.1600
O 7.4199 -9.8130 0.3575
O 2.1495 -4.9324 1.8336
O 2.8768 -2.1444 -2.5229
O 6.6916 -12.6063 4.7016
O 6.5002 -13.6582 2.1965
O 2.6854 -3.1963 -5.0280
O 8.5909 -5.7928 -1.3048
O 0.5897 -11.0893 -1.5921
O 0.7861 -10.0098 0.9784
O 8.7874 -4.7134 1.2657
O 4.6534 -6.0684 -1.0148
O 4.9146 -8.6851 3.1869
O 4.7237 -9.7343 0.6884
O 4.4624 -7.1176 -3.5133
CELL_PARAMETERS angstrom
-0.4037 -2.2185 -5.2832
9.2615 -2.5523 0.3640
0.5193 -11.0317 4.5928
```

symmetry	No. 11

=====

Record 2
A geometry-optimized Li4V2OF7 structure. Source: the Materials Project, functional GGA+U. Values from VASP.

```
&SYSTEM
  ibrav = 0, nat = 14, ntyp = 4
/
ATOMIC_SPECIES
Li 6.94 Li.upf
V 50.94 V.upf
O 16.00 O.upf
F 19.00 F.upf
ATOMIC_POSITIONS angstrom
Li -9.4749 -2.6697 0.1066
Li -7.2520 -0.7116 -0.2609
Li -12.6948 -1.3992 -0.4173
Li -1.7394 -0.2061 -0.0535
V -9.5580 -0.5043 -1.9902
V -9.7337 0.2336 0.8787
O -8.7514 0.6128 -0.6934
F -5.9690 -0.2324 -1.7928
F -6.1392 0.4826 0.9871
F -5.7804 -2.1690 0.2040
F -3.6793 -0.3701 -0.1301
F -10.7460 -1.1505 -0.3620
F -8.5028 -1.3166 1.3408
F -8.3285 -2.0487 -1.5057
CELL_PARAMETERS angstrom
-5.1639 1.9152 2.3739
-4.7997 0.3850 -3.5755
-4.4791 -3.8278 0.7103
```

symmetry	No. 8
energy above the lowest structure with this stoichiometry	7	meV/atom

=====

Record 3
A geometry-optimized Li5Mn4P8O28 structure. Source: the Materials Project, functional GGA+U. Values from VASP.

```
&SYSTEM
  ibrav = 0, nat = 90, ntyp = 4
/
ATOMIC_SPECIES
Li 6.94 Li.upf
Mn 54.94 Mn.upf
P 30.97 P.upf
O 16.00 O.upf
ATOMIC_POSITIONS angstrom
********
## So much for the data records
Ultimately, Moriarty has its cake by playfully re-creating the Sherlock Holmes persona and eats it by poking gentle fun at his methodology – and, by extension, his enduring appeal. "Much of what [Holmes] said was unsound, unscientific and occasionally preposterous," a Scotland Yard official harrumphs. "We believed him because he got results, but it was not a sound platform for modern detective work."
Anthony Horowitz may not be the most reverential of the many writers who have attempted to breathe new life into the legacy of Sherlock Holmes, but Moriarty proves that he is certainly one of the most entertaining.
Declan Burke's latest novel is Crime Always Pays (Severn House)